Newly assertive Japan to test Obama
As China rises and the dollar falls, the US ally seeks more independence, but not less security, from America. Tokyo is the first stop on the president's Asia tour.

Alliance? China’s Premier Wen Jiabao (r.) met with Japan’s Prime Minister Yukio Hatoyama in Beijing last month. Japan has pursued its own relationship with a rising China, a move with implications for the US.
Liu Jin/Reuters
When President Obama touches down in Tokyo Nov. 13, the father of two might think of his host country as the usually trouble-free but maturing child who suddenly demands more freedoms – while not knowing exactly how to handle them.
For decades, the United States has counted on Japan not to stray far from its place as a dependable and acquiescent ally, most recently as the US has faced the regional security challenges of a nuclear North Korea and a rising China. That made Tokyo an important and usually serene stop for any president swinging through Northeast Asia.
But the atmospherics will be different as Mr. Obama visits Japan for two days at the outset of an seven-day Asia trip. Behind the change: a new Japanese government that wants a "more equal" relationship with the US.
"Japan today is exhibiting a lot of the characteristics of 'failure to launch' – the college kid who's still living at home under his parents' wing but complains about being treated as an underling and not as an equal," says Bruce Klingner, an expert in Northeast Asian affairs at the Heritage Foundation in Washington. "He wants all the freedoms but is not taking on the responsibilities that being an equal entails."
-- The article is interrupted by materials data --
+++
# 1
# CrAsOs2, optimized geometry, DFT PBE
data_CrAsOs2
_cell_length_a 4.774
_cell_length_b 4.774
_cell_length_c 4.774
_cell_angle_alpha 133.49
_cell_angle_beta 133.49
_cell_angle_gamma 67.88
_space_group_name_H-M_alt 'P 1'
_space_group_IT_number 1
_space_group_name_Hall 'P 1'
loop_
_atom_site_label
_atom_site_fract_x
_atom_site_fract_y
_atom_site_fract_z
Cr1 0.000 0.000 0.000
As1 0.750 0.250 0.500
Os1 0.250 0.750 0.500
Os2 0.500 0.500 0.000
# Size of the total moment   2.04 μB per formula unit
# Volume   56.3 Å³/cell
# Raw total energy   -8.800 eV per atom

# 2
# CrAsOs2, optimized geometry, DFT PBE
data_CrAsOs2
_cell_length_a 6.644
_cell_length_b 6.644
_cell_length_c 6.644
_cell_angle_alpha 131.93
_cell_angle_beta 131.93
_cell_angle_gamma 70.34
_space_group_name_H-M_alt 'P 1'
_space_group_IT_number 1
_space_group_name_Hall 'P 1'
loop_
_atom_site_label
_atom_site_fract_x
_atom_site_fract_y
_atom_site_fract_z
Cr1 0.000 0.000 0.000
Cr2 0.750 0.250 0.500
As1 0.250 0.750 0.500
As2 0.500 0.500 0.000
Os1 0.109 0.625 0.984
Os2 0.375 0.359 0.484
Os3 0.641 0.125 0.016
Os4 0.875 0.891 0.516
# Size of the total moment   0.00 μB per formula unit
# Volume   159.1 Å³/cell
# Raw total energy   -8.306 eV per atom

# 3
# CrAsOs2, optimized geometry, DFT PBE
data_CrAsOs2
_cell_length_a 2.893
_cell_length_b 2.893
_cell_length_c 6.654
_cell_angle_alpha 90.00
_cell_angle_beta 90.00
_cell_angle_gamma 90.00
_space_group_name_H-M_alt 'P 1'
_space_group_IT_number 1
_space_group_name_Hall 'P 1'
loop_
_atom_site_label
_atom_site_fract_x
_atom_site_fract_y
_atom_site_fract_z
Cr1 0.000 0.000 0.000
As1 0.000 0.000 0.500
Os1 0.500 0.500 0.244
Os2 0.500 0.500 0.756
# Size of the total moment   0.00 μB per formula unit
# Volume   55.7 Å³/cell
# Raw total energy   -8.901 eV per atom

# 4
# Cr2AsOs, optimized geometry, DFT PBE
data_Cr2AsOs
_cell_length_a 6.591
_cell_length_b 6.591
_cell_length_c 6.591
_cell_angle_alpha 130.02
_cell_angle_beta 130.02
_cell_angle_gamma 73.38
_space_group_name_H-M_alt 'P 1'
_space_group_IT_number 1
_space_group_name_Hall 'P 1'
loop_
_atom_site_label
_atom_site_fract_x
_atom_site_fract_y
_atom_site_fract_z
Cr1 0.117 0.625 0.992
Cr2 0.375 0.367 0.492
Cr3 0.633 0.125 0.008
Cr4 0.875 0.883 0.508
As1 0.250 0.750 0.500
As2 0.500 0.500 0.000
Os1 0.000 0.000 0.000
Os2 0.750 0.250 0.500
# Size of the total moment   3.46 μB per formula unit
# Volume   163.9 Å³/cell
# Raw total energy   -7.863 eV per atom

# 5
# CrAsOs2, optimized geometry, DFT PBE
data_CrAsOs2
_cell_length_a 8.453
_cell_length_b 8.453
_cell_length_c 8.453
_cell_angle_alpha 18.97
_cell_angle_beta 18.97
_cell_angle_gamma 18.97
_space_group_name_H-M_alt 'P 1'
_space_group_IT_number 1
_space_group_name_Hall 'P 1'
loop_
_atom_site_label
_atom_site_fract_x
_atom_site_fract_y
_atom_site_fract_z
Cr1 0.000 0.000 0.000
As1 0.745 0.745 0.745
Os1 0.251 0.251 0.251
Os2 0.496 0.496 0.496
# Size of the total moment   0.00 μB per formula unit
# Volume   55.7 Å³/cell
# Raw total energy   -8.913 eV per atom
+++
The government of Prime Minister Yukio Hatoyama came into office in September on a campaign promise to adjust the relationship with Washington and create a foreign policy less reliant on the US. The new leadership – a left-leaning coalition led by the Democratic Party of Japan (DPJ), which broke the more conservative Liberal Democratic Party's 50-year lock on power – has yet to elaborate just what that new policy will be.
But in the meantime, the DPJ government is making noises on both the bilateral and broader strategic-policy levels that are jarring Washington – and prompting some stern-parent reactions. (Look no further than the uncompromising comments made by Secretary of Defense Robert Gates during an October stop in Japan.)
The Hatoyama government is balking at a carefully negotiated agreement on a realignment of US military bases in Japan, which is aimed at reducing the US footprint in Okinawa. It is also suggesting that it plans to discontinue a refueling mission for the Afghanistan war. And it is pressing Washington to adopt a no-first-use nuclear policy.
More broadly, Japan's new leadership talks of building an independent relationship with China, as well as forging a foreign policy based more on ties to the international community and international institutions than to Washington. All this would be fine, some regional analysts say, if it weren't that Tokyo still seems to want to depend on the US for its security – and isn't talking about an increase in military spending to pay for more of its own defense.
"Thus far, the 'equal alliance' concept has meant expressing grievances on the bilateral issues on the agenda," says Nicholas Szechenyi, deputy director of the Japan chair at the Center for Strategic and International Studies in Washington. "What we haven't heard is much talk [from the Japanese] about how Japan could assume a larger role and take on greater responsibilities to create that 'more equal' relationship."
Mr. Hatoyama says he doesn't like aspects of the bases agreement reached by the two governments in 2006 and wants to renegotiate it. Washington reminds Tokyo that the deal – which would result in thousands of marines departing Okinawa for Guam – was 15 years in the making and could unravel if reopened.
On Afghanistan, Hatoyama has suggested that Japan will end a re-fueling mission in the Indian Ocean. But in late October, he said in a speech that Japan might consider a replacement refueling mission in the Gulf of Aden.
Despite pressure from Washington, the prime minister says Japan won't rush its decision on the bases realignment just to meet the artificial deadline of a presidential visit. But he has said he will have a plan for Japan's assistance in Afghanistan to lay out for Obama.
As a fellow new leader promising change and reevaluating inherited policies, Obama may have to accept Hatoyama's review of policies that are of key importance to the Japanese public, Mr. Szechenyi says. "If these bilateral security issues remain unresolved, it's going to create tensions across the relationship," he says. But "if Hatoyama can move forward on the Afghanistan question for the visit, that will be positive," he adds.
Yet even if the bilateral security issues of the moment are resolved, the questions about Japan's broader security and foreign-policy vision will continue to hang over the relationship, Mr. Klingner says. Standing at the heart of those uncertainties will be China. How does Japan, as well as the US, plan to deal with this rising economic and military power?
"The prevailing theme is that Japan's relations with China should become as strong as its relations with the US," says Klingner, who was recently in Japan. "What you hear in Tokyo is that the new leadership sees an evolving global power structure marked by a weakening US, and they feel Japan must accommodate itself to the new reality."
Japan may well be contemplating a new orientation as Asia's power equilibrium shifts, other analysts say. But some add that Obama has an opportunity to put a Japan clamoring for greater influence to good use as he pursues some of his own global priorities.
"Obama can use his visit to set the stage for a revitalized relationship by focusing on two issues that are priorities for him and for Japan's new leadership: global warming and getting rid of nuclear weapons," says David Arase, an expert in East Asian security relations at Pomona College in Claremont, Calif. Not only would that reduce the focus on bilateral military issues, he adds, but it would also make both sides feel that Japan is part of Obama's international agenda.
"The Japanese would love it," Mr. Arase says, "and Obama could leave Japan pretty happy."
Data records, as found in the file =
........
[1]
First-principles (PBE) data for a relaxed structure of UPd5Pt, as listed in the Alexandria database.

## Properties
Crystal system: monoclinic
Raw total energy (eV per atom): -6.480
SG: C2/c (15)
Theoretical density (g cm⁻³): 13.43

a b c (Å): 6.861 6.861 5.543
angles (deg): 98.57 98.57 68.45
Fractional positions:
U: 0.226 0.774 0.750
U: 0.774 0.226 0.250
Pd: 0.093 0.276 0.522
Pd: 0.156 0.844 0.250
Pd: 0.276 0.093 0.022
Pd: 0.357 0.423 0.347
Pd: 0.423 0.357 0.847
Pd: 0.577 0.643 0.153
Pd: 0.643 0.577 0.653
Pd: 0.724 0.907 0.978
Pd: 0.844 0.156 0.750
Pd: 0.907 0.724 0.478
Pt: 0.000 0.500 0.000
Pt: 0.500 0.000 0.500

=====

[2]
First-principles (PBE) data for a relaxed structure of Ba2CrSi, as listed in the Alexandria database.

## Properties
Crystal system: cubic
SG: F-43m (216)
Theoretical density (g cm⁻³): 5.07
E_form (uncorrected) (eV per atom): 0.457

a b c (Å): 7.747 7.747 7.747
angles (deg): 90.00 90.00 90.00
Fractional positions:
Ba: 0.000 0.000 0.000
Ba: 0.000 0.500 0.500
Ba: 0.250 0.250 0.250
Ba: 0.250 0.750 0.750
Ba: 0.500 0.000 0.500
Ba: 0.500 0.500 0.000
Ba: 0.750 0.250 0.750
Ba: 0.750 0.750 0.250
Cr: 0.250 0.250 0.750
Cr: 0.250 0.750 0.250
Cr: 0.750 0.250 0.250
Cr: 0.750 0.750 0.750
Si: 0.000 0.000 0.500
Si: 0.000 0.500 0.000
Si: 0.500 0.000 0.000
Si: 0.500 0.500 0.500

=====

Which value of theoretical density does entry 2 give?
5.07 g cm⁻³

=====

What is the theoretical density in the first record?
13.43 g cm⁻³
........
See also:
Obama's two-part message on his week-long trip to Asia.
Editorial: On his trip, will Obama reset the Asian order?